# Excerpt
____________
No. 1
DFT (wB97M-V/def2-TZVPD) results for a molecular structure, C19H30N4OSV.

```
56
Properties=species:S:1:pos:R:3:forces:R:3
V -0.380 0.984 1.025 -0.2 0.1 -0.6
C 4.924 -1.725 3.100 -0.1 0.1 -0.1
C 4.795 -0.276 2.653 0.1 0.0 0.1
N 3.812 -0.149 1.536 0.0 0.0 -0.1
C 4.397 -0.258 0.174 0.0 0.0 0.0
C 4.861 1.095 -0.343 0.0 0.0 0.0
C 2.557 0.036 1.786 -0.2 0.1 0.4
S 1.460 0.156 0.321 0.1 -0.1 0.1
N 2.104 0.088 3.045 0.0 0.0 -0.3
C 0.965 0.382 3.549 0.2 -0.1 -0.1
O -0.114 0.712 2.638 0.5 -0.2 0.5
C 0.627 0.422 4.921 -0.2 0.0 -0.1
C 1.622 0.095 5.872 0.0 0.0 0.0
C 1.312 0.127 7.210 0.0 0.0 0.0
C 0.025 0.487 7.613 0.0 0.0 0.1
C -0.965 0.816 6.687 0.1 0.0 -0.1
C -0.671 0.785 5.344 0.0 0.0 0.1
H 5.690 -1.779 3.872 0.0 0.0 0.0
H 5.228 -2.374 2.280 0.0 0.0 0.0
H 3.985 -2.093 3.515 0.0 0.0 0.0
H 5.735 0.103 2.258 0.0 0.0 0.0
H 4.473 0.373 3.462 0.0 0.0 0.0
H 3.677 -0.733 -0.491 0.0 0.0 0.0
H 5.234 -0.948 0.272 0.0 0.0 0.0
H 4.030 1.791 -0.464 0.0 0.0 0.0
H 5.333 0.950 -1.313 0.0 0.0 0.0
H 5.596 1.543 0.325 0.0 0.0 0.0
H 2.612 -0.181 5.538 0.0 0.0 0.0
H 2.062 -0.122 7.947 0.0 0.0 0.0
H -0.212 0.515 8.669 0.0 0.0 0.0
H -1.952 1.096 7.025 0.0 0.0 0.0
H -1.432 1.044 4.622 0.0 0.0 0.0
C -3.308 1.105 0.560 0.0 -0.1 -0.1
C -4.479 0.466 -0.278 0.0 0.1 0.1
N -3.985 -0.652 -1.051 0.2 -0.1 0.0
C -2.990 -0.229 -2.003 -0.1 0.1 0.1
C -1.777 0.452 -1.229 0.1 -0.2 0.0
N -2.063 0.324 0.236 0.0 0.2 0.2
C -2.242 -1.118 0.627 0.0 0.0 0.0
C -3.451 -1.691 -0.191 0.0 0.1 -0.1
H -3.488 1.026 1.631 0.0 0.0 0.0
H -3.139 2.146 0.285 0.0 0.0 0.0
H -4.899 1.216 -0.945 0.0 0.0 0.0
H -5.260 0.125 0.398 0.0 0.0 0.0
H -3.409 0.504 -2.689 0.0 0.0 0.0
H -2.628 -1.080 -2.574 0.0 0.0 0.0
H -1.697 1.508 -1.492 0.0 0.0 0.1
H -0.840 -0.068 -1.460 0.0 0.0 0.0
H -2.423 -1.143 1.702 0.0 0.0 0.0
H -1.309 -1.646 0.416 0.0 0.0 -0.1
H -4.223 -2.045 0.490 0.0 0.0 0.0
H -3.125 -2.531 -0.801 0.0 0.0 0.0
C -0.047 2.886 0.863 -0.1 0.2 -0.1
H -0.032 3.064 -0.220 0.0 0.0 0.0
H 0.823 3.330 1.341 0.0 -0.1 0.0
H -0.974 3.265 1.326 0.0 0.0 0.0
```
Positions in Å, forces in eV/Å.

Its spin multiplicity is 1. The net charge is +3. The frontier orbital gap comes out at 5.5 eV. The HOMO energy is -17.72 eV.

=====

No. 2
DFT (wB97M-V/def2-TZVPD) results for 5 unconnected molecules or ions with the total composition C8H24BF4O8.

```
45
Properties=species:S:1:pos:R:3:forces:R:3
B -1.219 0.563 -0.562 -0.2 0.2 -0.8
F -1.400 -0.745 -0.061 0.4 -0.4 -0.5
F -0.477 0.523 -1.799 -0.2 -0.1 0.5
F -2.462 1.125 -0.802 0.4 0.2 0.2
F -0.419 1.257 0.367 -0.1 0.2 -0.2
C -1.735 0.412 -5.922 -1.2 0.2 0.1
C -0.331 0.848 -5.637 0.6 -0.1 1.6
O 0.215 0.149 -4.501 -0.3 0.2 -0.7
O -2.698 0.954 -4.998 0.3 0.1 -0.4
H -1.875 -0.661 -5.792 0.5 -0.1 -0.2
H -2.022 0.686 -6.947 0.1 -0.1 0.0
H -0.286 1.899 -5.323 -0.3 0.2 -0.7
H 0.303 0.701 -6.510 0.2 -0.2 0.1
H -0.294 0.467 -3.734 0.3 -0.3 0.0
H -2.912 1.843 -5.300 0.0 0.0 0.2
C 0.979 0.278 4.898 -0.4 -0.5 0.0
C 1.218 0.519 3.410 -0.2 -0.3 0.3
O 0.368 1.551 2.972 1.0 -0.1 -0.2
O -0.402 0.173 5.228 0.4 -0.1 0.3
H 1.423 1.077 5.495 -0.1 0.2 -0.1
H 1.462 -0.655 5.217 0.4 0.1 -0.2
H 1.022 -0.369 2.791 -0.1 -0.2 0.4
H 2.302 0.702 3.304 -0.1 0.4 -0.2
H 0.243 1.367 2.029 -0.5 0.5 0.1
H -0.587 -0.772 5.216 -0.4 0.1 -0.3
C 3.080 0.771 -0.544 0.4 0.4 -0.6
C 2.955 -0.239 -1.687 0.3 0.3 0.2
O 1.815 -1.055 -1.509 0.3 0.4 0.3
O 4.100 1.728 -0.899 0.0 -0.2 -0.1
H 3.356 0.249 0.374 -0.2 0.0 0.1
H 2.149 1.320 -0.404 -0.2 -0.1 0.1
H 3.896 -0.802 -1.688 -0.4 -0.5 0.1
H 2.954 0.248 -2.669 -0.3 0.3 0.1
H 1.077 -0.421 -1.377 0.1 -0.6 -0.4
H 4.680 1.877 -0.152 -0.1 0.0 0.1
C -2.794 -1.247 2.836 0.2 0.7 -0.1
C -1.893 -2.474 2.742 -0.9 0.2 -0.2
O -0.952 -2.466 3.812 0.1 -0.3 0.3
O -2.251 -0.080 2.258 -0.2 -0.3 0.9
H -2.969 -1.067 3.903 0.3 0.1 0.1
H -3.814 -1.421 2.464 0.2 -0.4 -0.5
H -1.369 -2.562 1.789 -0.1 0.3 -0.1
H -2.601 -3.312 2.791 0.5 -0.4 0.4
H -0.068 -2.603 3.464 0.0 0.0 -0.1
H -1.766 -0.336 1.461 -0.3 0.0 0.1
```
Positions in Å, forces in eV/Å.
____________

# To do
Your job: work out how many lines earlier on have the word "total" in them; a number is enough.

# Response
1